We're Off and Running With the School!

Followers of this blog know we have been hard at work on creating a school for teens with challenges here in the Robison Service complex. This past week we had a milestone event –inspection by our liaison with the Massachusetts Dept of Elementary and Secondary Education.  They are the people who give the official OK for schools to be schools, and start taking on students.

I am pleased to say we passed the inspection with flying colors, and we have been approved!  Our liaison from the state was really excited at our plans, and offered a number of excellent suggestions.  We are about to become – to the best of my knowledge – the only special needs school teaching a trade where that trade is actually performed. 

One thing has changed since my original announcement – and that is our name.   We originally thought of calling the program Northeast Vocational, but it turns out that has special significance to the state.  You see, vocational schools are one kind of school and special needs schools are another.  Our parent school is a special needs school, so that’s what we are too.

To call ourselves a vocational school we would have to admit all kids – not just those with special needs – and our program would be licensed and overseen by a different group within DESE.  That would be a major change, and since our goal has always been to help kids with challenges, the sensible thing to do was change the name.

So we’re going to call ourselves the TCS Automotive Program.

Now that we have the blessing of the state we’ve got to scramble to open for class this September.   Look for an announcement soon for an open house later this August, and feel free to contact us if you’d like to talk about getting your son or daughter into the program.  

Most students are referred by local school districts, and paid for with public funds.  Our staff can help walk you through that process.  Our program is totally unique, and if sounds like it may fit the needs of your child . . . give us a call.

Here are some of the unique things our program will offer:
  • We have a parent school with a long history of teaching kids with challenges;
  • We pledge to develop and implement state of the art teaching programs, evaluate their success, and fine tune them for best outcomes;
  • Tri County has strong supports for our students and controls bullying;
  • Students in the auto program will learn a valuable trade;
  • Students will be exposed to all the commercial operations of our complex, allowing them to see real work being done, and making what they learn in class that much more real;
  • Students will have the chance to earn industry certifications that will help them get good jobs;
  • We will offer internships right in our complex, allowing students to “ease into” real work in a safe supported setting.  We will also help place kids in other safe friendly settings to maximize their chances for success on graduation;
  • And finally – much of the vision for this school comes from me – an autistic adult who made a good life practicing a trade.  I’ll be there to mentor and advise our students, and I'll be backed up by one of the most capable special ed teams in the state.

I’m writing this post from Australia, where I am speaking at several autism conferences and delivering the National Biography Award lecture.  I’ll be home next week at which point I’ll jump into this project with both feet.  However, the crew from Tri County is already on the job – even today.

(Above) The lighthouse at Byron Bay, Australia, is sited at the easternmost point of the Australian continent.  

I hope to hear from any of you who want to join our program, and I look forward to meeting at our upcoming open house. Stay tuned for an announcement of a date. 

* * *

John Elder Robison is an autistic adult who is known as a writer and advocate for people with autism and neurological differences.  He is also the founder of J E Robison Service - a specialty business that repairs and restores high end automobiles in Springfield, Massachusetts 


Very proud of you, and everyone else involved!
Anonymous said…

Calculated molecules from another source follow =
____________
[1]
69
Properties=species:S:1:pos:R:3 method="wB97M-V/def2-TZVPD" homo_lumo_gap_ev=3.939 charge=-1 e_homo_ev=-3.07 largest_force_ha_per_bohr=0.0262 relative_energy_kj_mol=0.0 e_tot_ev=-70787.551
Al 0.11116 -2.38980 0.47791
O -1.13138 -2.49485 -0.88735
C -2.09532 -3.26753 -0.99118
C -2.50841 -4.21938 -0.01871
C -3.67416 -4.96656 -0.21690
C -4.04985 -5.90086 0.70822
C -3.30135 -6.10531 1.88157
C -2.17165 -5.37249 2.10739
C -1.72565 -4.42195 1.15802
O -0.62983 -3.77814 1.35169
N -5.24561 -6.69784 0.47897
O -5.90438 -6.47030 -0.51867
O -5.52281 -7.55679 1.29685
H -2.67726 -3.16240 -1.91348
H -4.28628 -4.80809 -1.09568
H -3.63802 -6.84917 2.58911
H -1.58054 -5.49752 3.00386
O 1.78416 -3.10905 0.98142
N 2.71683 -2.20965 0.90302
N 2.42108 -1.32412 0.05231
O 1.30527 -1.38888 -0.63729
C 3.21169 -0.13392 -0.05905
C 2.58733 1.00821 -0.52410
C 3.31128 2.19141 -0.55531
C 4.63894 2.21229 -0.15430
C 5.25128 1.04632 0.29436
C 4.53694 -0.13622 0.35599
H 1.54336 0.96528 -0.83804
H 2.82703 3.09845 -0.89263
H 5.19932 3.13814 -0.18510
H 6.29040 1.06352 0.59610
H 4.98759 -1.05397 0.70711
O -1.00224 0.92589 1.67724
C -0.25057 0.08965 2.10344
O -0.14698 -1.14544 1.67704
C 0.68841 0.41177 3.24504
C 0.58864 1.65520 3.85960
C 1.43924 1.99350 4.89446
C 2.39599 1.07770 5.30421
C 2.51517 -0.16379 4.70339
C 1.65153 -0.49585 3.67440
N 3.29693 1.42999 6.40455
O 4.12345 0.60669 6.75336
O 3.17419 2.52857 6.91492
H -0.16781 2.34280 3.50682
H 1.37783 2.94800 5.39635
H 3.27402 -0.84919 5.05146
H 1.71901 -1.46277 3.19705
C -1.69025 5.64891 -5.24929
C -1.48428 4.38660 -4.44726
C -2.44566 3.94751 -3.54729
C -2.28689 2.77510 -2.81493
C -3.37145 2.35774 -1.86017
C -1.12801 1.98561 -2.97781
Te -0.92086 0.13197 -1.92100
C -0.14008 2.44206 -3.87229
C 1.15262 1.69976 -4.11487
C -0.33325 3.62808 -4.58178
H -2.75201 5.88987 -5.31740
H -1.29428 5.54062 -6.26057
H -1.18419 6.50163 -4.78703
H -3.35001 4.53624 -3.41353
H -4.17035 3.10379 -1.82761
H -2.96402 2.21861 -0.85738
H -3.79738 1.39903 -2.16308
H 1.11874 0.70415 -3.67811
H 1.99761 2.23811 -3.67319
H 1.34010 1.60689 -5.18812
H 0.44594 3.95617 -5.26676


[2]
67
Properties=species:S:1:pos:R:3 method="wB97M-V/def2-TZVPD" homo_lumo_gap_ev="4.736 / 5.960" charge=0 e_homo_ev="-6.64 / -6.61" largest_force_ha_per_bohr=0.0689 relative_energy_kj_mol=102.8 e_tot_ev=-89659.331 spin_multiplicity=8
Gd 0.03841 1.36387 0.42045
S 2.86258 1.69912 0.02461
C 2.41618 3.32144 0.19032
N 1.15102 3.70494 0.24436
C 1.07937 5.04615 0.59061
C -0.08393 5.78512 0.86803
C 0.03998 7.14323 0.99504
C 1.25658 7.79913 0.87638
C 2.42396 7.07860 0.63813
C 2.35181 5.68308 0.53958
S 3.63527 4.57201 0.35421
H -1.03359 5.30661 1.13416
H -0.85712 7.68461 1.22079
H 1.34007 8.87264 0.88635
H 3.40551 7.55256 0.66957
B -2.63335 2.26761 2.82085
N -1.17985 2.01622 3.38585
C -0.84724 1.97460 4.69224
C 0.51903 1.80511 4.82266
C 1.01981 1.74331 3.49217
N -0.00326 1.87616 2.62091
N -2.80830 2.66432 1.33477
C -3.97542 3.09540 0.84043
C -3.84535 3.59269 -0.44915
C -2.44746 3.42091 -0.72036
____________

Thank you. Just thank you.
